=====
Entry from OQMD: a geometry-optimized DyEr2Tm4Ni2Te2 structure (PBE).

a b c (Å): 3.8282 15.4657 9.4902
angles (deg): 90.00 90.00 90.00
Space group Imm2 (No. 44)
Asymmetric unit:
Dy 0.0000 0.0000 0.0000 x2
Er 0.0000 0.3146 0.3789 x4
Tm 0.0000 0.1333 0.5827 x4
Tm 0.0000 0.3533 0.7301 x4
Ni 0.0000 0.2376 0.0720 x4
Te 0.0000 0.0000 0.3375 x2
Te 0.0000 0.5000 0.2344 x2

* calculated total energy: -5.14 eV/atom

=====

A plane-wave DFT calculation with PBE was carried out for an optimized crystal structure of KHgPb2.

Calculated values
* SG: Pnma
* energy of formation: -0.4 eV per formula unit

```
KHgPb2
1.0
9.119 0.000 0.000
0.000 4.604 0.000
0.000 0.000 13.808
K Hg Pb
4 4 8
direct
0.158 0.250 0.141 K
0.342 0.750 0.641 K
0.658 0.250 0.359 K
0.842 0.750 0.859 K
0.139 0.250 0.883 Hg
0.361 0.750 0.383 Hg
0.639 0.250 0.617 Hg
0.861 0.750 0.117 Hg
0.015 0.250 0.671 Pb
0.139 0.250 0.454 Pb
0.361 0.750 0.954 Pb
0.485 0.750 0.171 Pb
0.515 0.250 0.829 Pb
0.639 0.250 0.046 Pb
0.861 0.750 0.546 Pb
0.985 0.750 0.329 Pb
```

---

A plane-wave DFT calculation with PBE was carried out for an optimized crystal structure of K4Cd3Hg.

Calculated values
* SG: Pmm2
* energy of formation: -0.9 eV per formula unit

```
K4Cd3Hg
1.0
4.948 0.000 0.000
0.000 5.191 0.000
0.000 0.000 12.867
K Cd Hg
4 3 1
direct
0.000 0.000 0.000 K
0.000 0.500 0.296 K
0.500 0.000 0.495 K
0.500 0.500 0.797 K
0.000 0.000 0.703 Cd
0.000 0.500 0.590 Cd
0.500 0.500 0.089 Cd
0.500 0.000 0.207 Hg
```

---

A plane-wave DFT calculation with PBE was carried out for an optimized crystal structure of Al4HgP.

Calculated values
* SG: F-43m
* energy of formation: 2.3 eV per formula unit

```
Al4HgP
1.0
0.000 3.822 3.822
3.822 0.000 3.822
3.822 3.822 0.000
Al Hg P
4 1 1
direct
0.125 0.125 0.125 Al
0.125 0.125 0.624 Al
0.125 0.624 0.125 Al
0.624 0.125 0.125 Al
0.750 0.750 0.750 Hg
0.500 0.500 0.500 P
```

---

A plane-wave DFT calculation with PBE was carried out for an optimized crystal structure of HgRu3F.

Calculated values
* SG: Pm-3m
* formation energy without anion corrections: 1000 meV/atom
* energy above the lowest structure with this stoichiometry: 0.000 eV per atom

```
HgRu3F
1.0
4.323 0.000 0.000
0.000 4.323 0.000
0.000 0.000 4.323
Hg Ru F
1 3 1
direct
0.000 0.000 0.000 Hg
0.000 0.500 0.500 Ru
0.500 0.000 0.500 Ru
0.500 0.500 0.000 Ru
0.500 0.500 0.500 F
```

---

A plane-wave DFT calculation with PBE was carried out for an optimized crystal structure of NpRhPb.

Calculated values
* SG: P4/nmm
* energy of formation: 0.2 eV per formula unit

```
NpRhPb
1.0
4.410 0.000 0.000
0.000 4.410 0.000
0.000 0.000 7.222
Np Rh Pb
2 2 2
direct
0.250 0.250 0.134 Np
0.750 0.750 0.866 Np
0.250 0.250 0.786 Rh
0.750 0.750 0.214 Rh
0.250 0.750 0.500 Pb
0.750 0.250 0.500 Pb
```

---

A plane-wave DFT calculation with PBE was carried out for an optimized crystal structure of In2Hg2Pb5.

Calculated values
* SG: P-1
* energy above the lowest structure with this stoichiometry: 0.000 eV per atom
* energy of formation: 0.1 eV per formula unit

```
In2Hg2Pb5
1.0
6.016 0.000 0.000
1.409 6.185 0.000
1.379 0.191 7.084
In Hg Pb
2 2 5
direct
0.225 0.451 0.098 In
0.775 0.549 0.902 In
0.364 0.654 0.675 Hg
0.636 0.346 0.325 Hg
0.000 0.000 0.000 Pb
0.075 0.234 0.546 Pb
0.457 0.896 0.232 Pb
0.543 0.104 0.768 Pb
0.925 0.766 0.454 Pb
```

---

A plane-wave DFT calculation with PBE was carried out for an optimized crystal structure of Na2CdSbTe4.

Calculated values
* SG: P2/m
* formation energy without anion corrections: -434 meV/atom

```
Na2CdSbTe4
1.0
7.612 0.000 0.000
0.000 4.243 0.000
-2.468 0.000 7.732
Na Cd Sb Te
2 1 1 4
direct
0.000 0.000 0.000 Na
0.500 0.500 0.000 Na
0.000 0.500 0.500 Cd
0.500 0.000 0.500 Sb
0.237 0.000 0.721 Te
0.261 0.500 0.268 Te
0.739 0.500 0.732 Te
0.763 0.000 0.279 Te
```

---

A plane-wave DFT calculation with PBE was carried out for an optimized crystal structure of DyZn2Pd3.

Calculated values
* SG: P6_3/mmc
* energy of formation: -4.2 eV per formula unit

```
DyZn2Pd3
1.0
=====

Now say how many lines of the rows further up hold the word "P6_3", as a bare number.

1